The important vs. urgent dilemma
If you don’t have a strong grasp of the values and goals that matter most to your business, you’ll have difficulty knowing what things you should spend your time on. Instead, you’ll latch on to whatever to-dos items seem the most urgent. When businesses spend a lot of time chasing after crises, they fail to thrive, miss important goals, and leave leaders and team members burnt and stressed out.
Using the grid provided here, we can help you define your goals and determine the most important tasks to complete to attain them. This will ensure you spend your limited resources and time focusing on the right to-do items to move things forward.
Important vs. urgent exercise
Successful business leaders have used variations of this method for decades. This grid is a powerful productivity tool that can increase your effectiveness 10x. It consists of 4 quadrants that classify your daily activities according to two parameters: level of urgency and importance.
This analysis helps you rapidly identify activities you should focus on or ignore.
To evaluate your business, look at your typical week and estimate the percentage of the time you spend in each quadrant based on how urgent vs. important they are. Minimizing “busy work” activities that provide minimal value to long-term goals will free up time for things that truly matter.
After this exercise, you'll have the chance to:
# Materials data that have nothing to do with the article
'''
Entry 1:
The following is a theoretical powder diffractogram of Zr9VO20. It was derived from DFT lattice parameters and positions (PBE+U), using Cu Kα, 1.54184 Å.
No peak broadening, texture or thermal motion is included.

Unit cell a=6.475 b=7.359 c=8.111 alpha=77.07 beta=75.50 gamma=71.41
Space group P1 (No. 1)
Unique sites:
Zr 0.000 0.000 0.000
Zr 0.001 0.501 0.004
Zr 0.207 0.796 0.598
Zr 0.220 0.283 0.608
Zr 0.405 0.589 0.206
Zr 0.413 0.094 0.198
Zr 0.606 0.397 0.808
Zr 0.812 0.695 0.410
Zr 0.818 0.193 0.401
V 0.603 0.888 0.808
O 0.036 0.165 0.162
O 0.094 0.720 0.135
O 0.129 0.563 0.461
O 0.189 0.123 0.438
O 0.205 0.979 0.760
O 0.294 0.518 0.741
O 0.318 0.378 0.071
O 0.412 0.910 0.026
O 0.427 0.773 0.363
O 0.496 0.313 0.350
O 0.535 0.144 0.677
O 0.591 0.732 0.655
O 0.634 0.559 0.975
O 0.683 0.129 0.957
O 0.724 0.971 0.265
O 0.799 0.513 0.246
O 0.808 0.380 0.566
O 0.897 0.783 0.860
O 0.908 0.909 0.523
O 0.995 0.319 0.840

Main lines, sorted by position (2θ = 10–90°):
- 2θ = 29.70°, I 100, (2 0 1)
- 2θ = 29.83°, I 49, (1 2 2)
- 2θ = 29.99°, I 48, (0 2 -1)
- 2θ = 33.64°, I 19, (2 2 0)
- 2θ = 35.00°, I 25, (-1 2 1)
- 2θ = 49.54°, I 35, (1 4 1)
- 2θ = 50.25°, I 19, (0 2 4)
- 2θ = 50.41°, I 19, (2 -2 2)



Entry 2:
The following is a theoretical powder diffractogram of WO2. It was derived from DFT lattice parameters and positions (PBE+U), using Cu Kα, 1.54184 Å.
No peak broadening, texture or thermal motion is included.

Unit cell a=5.9894 b=5.9894 c=17.3289 alpha=90.00 beta=90.00 gamma=120.00
Space group R3m (No. 160, hexagonal axes)
Unique sites:
W 0.0000 0.0000 0.0000
W 0.0152 0.5076 0.8709
O 0.0000 0.0000 0.1158
O 0.0000 0.0000 0.6012
O 0.0107 0.5054 0.1509
O 0.1678 0.3356 0.9472

Main lines, sorted by position (2θ = 10–90°):
- 2θ = 15.34°, I 100, (0 0 3)
- 2θ = 19.95°, I 48, (0 1 2)
- 2θ = 26.81°, I 48, (1 0 4)
- 2θ = 31.00°, I 50, (0 0 6)
- 2θ = 33.71°, I 48, (1 1 3)
- 2θ = 34.98°, I 82, (0 2 1)
- 2θ = 36.15°, I 33, (2 0 2)
- 2θ = 51.00°, I 37, (0 2 7)

* * * * *

Record 1
Starting from DFT lattice parameters and positions (PBE), the XRD peak list of Ho3Fe4Ge4 was calculated for Cu Kα (λ = 1.5418 Å).
Kinematic intensities with the Lorentz-polarization factor, no thermal factor.

Atomic structure:
```
data_Ho3Fe4Ge4
_chemical_formula_sum 'Ho6 Fe8 Ge8'
_cell_length_a 4.193
_cell_length_b 6.717
_cell_length_c 13.530
_cell_angle_alpha 90.00
_cell_angle_beta 90.00
_cell_angle_gamma 90.00
_symmetry_space_group_name_H-M 'I m m m'
_symmetry_Int_Tables_number 71
_symmetry_space_group_name_Hall '-I 2 2'
loop_
_atom_site_label
_atom_site_type_symbol
_atom_site_fract_x
_atom_site_fract_y
_atom_site_fract_z
Ho1 Ho 0.000 0.000 0.000
Ho2 Ho 0.000 0.500 0.129
Fe1 Fe 0.000 0.319 0.325
Ge1 Ge 0.000 0.000 0.221
Ge2 Ge 0.000 0.196 0.500
```

Top 10 peaks for 15 to 90 degrees two-theta, low angle first:
h k l  d (Å)  2θ/deg  I_rel
0 2 0  3.359  26.5  17
1 2 1  2.573  34.9  90
0 1 5  2.510  35.8  30
1 1 4  2.451  36.7  100
2 0 0  2.096  43.2  36
'''
# Here the article continues
- Consciously give priority to the most important tasks, as well as plan and delegate so that you can deal with problems BEFORE they become urgent crises and
[Calculated crystals that have nothing to do with the text]
'''
Al2Si2H4O9: calculated X-ray diffraction stick pattern (Cu Ka), based on a crystal structure in the Materials Project, relaxed with GGA-PBE.
Intensities are scaled so that the largest is 100.

The 8 most intense peaks (15 to 90 degrees two-theta), by angle:
2theta, Rel. int., h k l
19.7, 46, 1 1 0
20.1, 52, 1 1 -1
20.5, 40, 0 2 1
21.2, 91, 1 1 1
23.2, 66, 0 2 2
24.6, 100, 0 0 4
38.2, 38, 2 0 2
38.3, 84, 1 3 -3

```
data_Al2Si2H4O9
_chemical_formula_sum 'Al8 Si8 H16 O36'
_space_group_name_H-M_alt 'C 1 c 1'
_space_group_IT_number 9
_cell_length_a 5.215
_cell_length_b 9.057
_cell_length_c 14.590
_cell_angle_alpha 90.00
_cell_angle_beta 96.42
_cell_angle_gamma 90.00
loop_
_space_group_symop_operation_xyz
'x,y,z'
'x,-y,z+1/2'
'x+1/2,y+1/2,z'
'x+1/2,-y+1/2,z+1/2'
loop_
_atom_site_label
_atom_site_fract_x
_atom_site_fract_y
_atom_site_fract_z
Al1 0.000 0.081 0.000
Al2 0.006 0.255 0.498
Si1 0.407 0.099 0.190
Si2 0.420 0.427 0.190
H1 0.112 0.448 0.377
H2 0.124 0.241 0.871
H3 0.138 0.083 0.373
H4 0.427 0.183 0.575
O1 0.094 0.086 0.436
O2 0.154 0.494 0.224
O3 0.162 0.028 0.238
O4 0.176 0.394 0.433
O5 0.177 0.219 0.935
O6 0.334 0.277 0.573
O7 0.341 0.109 0.079
O8 0.415 0.418 0.079
O9 0.460 0.262 0.237
```

* * * * *

This entry pairs a crystal structure of Sc7Cu3 with its theoretical PXRD pattern. Radiation: Cu Kα (λ = 1.5418 Å). Structure: the GGA-PBE geometry in Alexandria.

Structural model:
abc: 9.1043 9.1043 5.8607
angles: 90.00 90.00 120.00
Space group P6_3mc (No. 186)
Unique sites:
Sc  0.0737  0.5368  0.0000 x6
Sc  0.1262  0.2524  0.7103 x6
Sc  0.3333  0.6667  0.5352 x2
Cu  0.1938  0.3877  0.2754 x6

Principal peaks in the range 2θ = 10–90°, by angle:
- (1 0 2), 32.60 deg, d = 2.747 Å, I = 35
- (2 1 1), 33.74 deg, d = 2.656 Å, I = 81
- (3 0 1), 37.50 deg, d = 2.398 Å, I = 100
- (2 0 2), 38.27 deg, d = 2.352 Å, I = 72
- (2 2 0), 39.60 deg, d = 2.276 Å, I = 61
- (2 1 2), 43.30 deg, d = 2.089 Å, I = 36

This entry pairs a crystal structure of Tb6Sn3C2 with its theoretical PXRD pattern. Radiation: Cu Kα (λ = 1.5418 Å). Structure: the GGA-PBE geometry in Alexandria.

Structural model:
abc: 4.814 4.814 24.953
angles: 90.00 90.00 90.00
Space group I4/mmm (No. 139)
Unique sites:
Tb  0.000  0.000  0.195 x4
Tb  0.000  0.500  0.084 x8
Sn  0.000  0.000  0.323 x4
Sn  0.000  0.000  0.500 x2
C  0.000  0.000  0.104 x4

Principal peaks in the range 2θ = 10–90°, by angle:
- (1 1 2), 27.16 deg, d = 3.284 Å, I = 48
- (1 1 4), 29.90 deg, d = 2.988 Å, I = 21
- (1 1 6), 34.04 deg, d = 2.634 Å, I = 100
- (2 0 0), 37.36 deg, d = 2.407 Å, I = 57
- (2 2 0), 53.87 deg, d = 1.702 Å, I = 20
- (3 1 6), 65.27 deg, d = 1.429 Å, I = 31

This entry pairs a crystal structure of K3Ac3TiSe8 with its theoretical PXRD pattern. Radiation: Cu Kα (λ = 1.5418 Å). Structure: the GGA-PBE geometry in Alexandria.

Structural model:
abc: 8.7951 8.7951 23.5310
angles: 90.00 90.00 120.00
Space group R-3m (No. 166, hexagonal axes)
Unique sites:
K  0.0000  0.5000  0.0000 x9
'''
- Be aware of our interruptions and distractions so that you can reduce or eliminate them. This empowers people to manage their limited time resources so that they get their priority tasks done in a more enjoyable and less stressful way.
How to use the Important vs. Urgent Grid
- Have SMART* business goals defined and in front of you
Someone pasted records of crystals at this point >
Diffraction record for Ca2MnO4. The PXRD pattern is theoretical, not measured: it uses DFT lattice parameters and positions (PBE+U) and Cu Kα.

Top 10 peaks for 10° ≤ 2θ ≤ 90°, in order of rising 2θ:
d 6.102, rel. 49
d 2.742, rel. 100
d 2.626, rel. 96
d 2.040, rel. 18
d 2.034, rel. 34
d 1.857, rel. 54
d 1.608, rel. 28
d 1.537, rel. 39
d 1.372, rel. 38
d 1.174, rel. 14

Crystal structure
```
28
Lattice="-2.6256 2.6256 12.2032 2.6256 -2.6256 12.2032 2.6256 2.6256 -12.2032" Properties=species:S:1:pos:R:3 pbc="T T T"
Ca 2.6256 1.3128 -4.8695
Ca 2.6256 1.3128 -1.2321
Ca 0.0000 1.3128 1.2321
Ca 0.0000 1.3128 4.8695
Ca 2.6256 1.3128 7.3337
Ca 2.6256 1.3128 10.9710
Ca 0.0000 1.3128 13.4353
Ca 0.0000 1.3128 17.0726
Mn 2.6256 -1.3128 9.1524
Mn 2.6256 1.3128 3.0508
Mn 0.0000 1.3128 9.1524
Mn 0.0000 3.9384 3.0508
O 2.6256 -1.3128 7.1804
O 3.6865 -0.2519 3.0508
O 1.0609 0.2519 3.0508
O 2.6256 -1.3128 11.1244
O 2.6256 1.3128 1.0788
O 1.0609 -0.2519 9.1524
O 1.0609 2.8774 -3.0508
O 2.6256 1.3128 5.0228
O 0.0000 1.3128 7.1804
O 1.5646 -0.2519 15.2540
O 1.5647 2.8774 3.0508
O 0.0000 1.3128 11.1244
O 0.0000 3.9384 1.0788
O 1.5647 2.3737 9.1524
O -1.0609 2.8774 9.1524
O 0.0000 3.9384 5.0228
```

Diffraction record for Li2Mn5O12. The PXRD pattern is theoretical, not measured: it uses DFT lattice parameters and positions (PBE+U) and Cu Kα.

Top 10 peaks for 10° ≤ 2θ ≤ 90°, in order of rising 2θ:
d 5.670, rel. 11
d 4.760, rel. 100
d 2.487, rel. 41
d 2.065, rel. 18
d 2.060, rel. 37
d 1.892, rel. 8
d 1.586, rel. 13
d 1.459, rel. 20
d 1.457, rel. 10
d 1.190, rel. 8

Crystal structure
```
38
Lattice="4.1203 -4.1190 0.0000 4.1203 4.1190 0.0000 -4.1030 0.0000 12.3928" Properties=species:S:1:pos:R:3 pbc="T T T"
Li 2.0687 3.0742 6.1964
Li 4.1303 1.0765 4.0438
Li 2.0788 -1.0765 10.2402
Li 4.1203 -3.0742 0.0000
Mn 3.0999 4.0970 3.0189
Mn 1.0514 2.0476 3.0238
Mn -1.0056 0.0383 11.3522
Mn 1.0207 2.0621 11.3485
Mn 1.0459 -0.0383 5.1558
Mn -1.0001 -2.0476 9.2202
Mn 5.1516 -0.0003 0.9961
Mn 3.1001 0.0003 7.1924
Mn 3.0723 -2.0621 5.1521
Mn 1.0484 -4.0970 9.2153
O 0.9210 1.9419 5.0077
O -0.9102 0.1095 5.0508
O -2.9618 -0.1095 11.2472
O -0.8412 1.8858 11.2160
O 2.9150 2.2424 3.1586
O 0.9080 0.1254 3.1537
O -1.1435 -0.1254 9.3500
O 1.1805 2.1949 9.4043
O 1.2058 0.0245 6.9997
O 3.2573 -0.0245 0.8033
O 5.1721 1.8913 0.8145
O 3.0502 1.8953 7.3619
O -1.1305 -1.9419 11.2041
O 0.9577 0.0895 11.4217
O 1.2103 -1.8858 5.0196
O 3.0092 -0.0895 5.2253
O 3.1964 0.0914 9.1404
O 0.8635 -2.2424 9.3550
O 5.2479 -0.0914 2.9440
O 3.2321 -2.1949 3.2079
O 3.1206 -1.8913 7.0109
O 5.1018 -1.8953 1.1656
O 7.0531 0.0592 1.1703
O 5.0016 -0.0592 7.3666
```
- Make a list of common and specific activities as they relate to your goals
- Assign each activity to a quadrant on the chart and note how much time you spend in each section
- The number of activities in a quadrant helps determine the time you'll need to spend completing those activities.
- Look for ways to minimize time spent on quadrants 1, 3, and 4 activities – and ways to spend more time on activities listed in quadrant 2.
After reviewing the grid, consider what your business - and YOU - can do differently.
To avoid focusing on non-urgent, important tasks, leaders must proactively lead with an intention that is correlated to their vision. Once the leaders on your team implement this behavior for themselves, the same behaviors will filter down to all teams and individuals in the organization.